- - -
## CaAgP (GGA-PBE)

Data for an optimized crystal structure of CaAgP.

a b c (Å): 7.0768 7.0768 4.2030
angles (deg): 90.00 90.00 120.00
Last column: nearest neighbours and their distance in Å.
Space group P-62m (No. 189)
One atom of each set of equivalent atoms:
Ca1 0.0000 0.4109 0.0000 [3 per cell]  5 P 2.91-3.00, 2 Ag 3.17
Ag1 0.0000 0.7471 0.5000 [3 per cell]  4 P 2.69-2.76
P1 0.0000 0.0000 0.0000 [1 per cell]  6 Ag 2.76, 3 Ca 2.91
P2 0.3333 0.6667 0.5000 [2 per cell]  3 Ag 2.69, 6 Ca 3.00

Summary:
As for the energy of formation: -761 meV per atom.

=====

CsNa2 after structural relaxation. Source: Materials Project, functional PBE-GGA.

```
CsNa2
1.0
-7.606 0.313 -1.314
4.468 -4.645 -4.258
-1.832 -9.425 8.359
Na Cs
8 4
Direct
0.664 0.832 0.750
0.000 0.000 0.500
0.832 0.168 0.250
0.000 0.000 0.000
0.168 0.336 0.750
0.168 0.832 0.750
0.336 0.168 0.250
0.832 0.664 0.250
0.333 0.667 0.437
0.667 0.333 0.563
0.333 0.667 0.063
0.667 0.333 0.937
```

Values from the calculation:
Its crystal system is hexagonal. For the total energy, the calculation gives -1.151 eV/atom. The mass density is 1.8 g/cm³. The value obtained for the energy relative to the elements is 0.09 eV per formula unit. As for the space group: P6_3/mmc.

=====

PuAl3 after structural relaxation. Source: Materials Project, functional PBE-GGA.

```
PuAl3
1.0
4.186 0.000 0.000
0.000 4.186 0.000
0.000 0.000 4.186
Al Pu
3 1
Direct
0.500 0.500 0.000
0.500 0.000 0.500
0.000 0.500 0.500
0.000 0.000 0.000
```
- - -

Type out all of the rows further above without altering anything.

## CaAgP (GGA-PBE)

Data for an optimized crystal structure of CaAgP.

a b c (Å): 7.0768 7.0768 4.2030
angles (deg): 90.00 90.00 120.00
Last column: nearest neighbours and their distance in Å.
Space group P-62m (No. 189)
One atom of each set of equivalent atoms:
Ca1 0.0000 0.4109 0.0000 [3 per cell]  5 P 2.91-3.00, 2 Ag 3.17
Ag1 0.0000 0.7471 0.5000 [3 per cell]  4 P 2.69-2.76
P1 0.0000 0.0000 0.0000 [1 per cell]  6 Ag 2.76, 3 Ca 2.91
P2 0.3333 0.6667 0.5000 [2 per cell]  3 Ag 2.69, 6 Ca 3.00

Summary:
As for the energy of formation: -761 meV per atom.

=====

CsNa2 after structural relaxation. Source: Materials Project, functional PBE-GGA.

```
CsNa2
1.0
-7.606 0.313 -1.314
4.468 -4.645 -4.258
-1.832 -9.425 8.359
Na Cs
8 4
Direct
0.664 0.832 0.750
0.000 0.000 0.500
0.832 0.168 0.250
0.000 0.000 0.000
0.168 0.336 0.750
0.168 0.832 0.750
0.336 0.168 0.250
0.832 0.664 0.250
0.333 0.667 0.437
0.667 0.333 0.563
0.333 0.667 0.063
0.667 0.333 0.937
```

Values from the calculation:
Its crystal system is hexagonal. For the total energy, the calculation gives -1.151 eV/atom. The mass density is 1.8 g/cm³. The value obtained for the energy relative to the elements is 0.09 eV per formula unit. As for the space group: P6_3/mmc.

=====

PuAl3 after structural relaxation. Source: Materials Project, functional PBE-GGA.

```
PuAl3
1.0
4.186 0.000 0.000
0.000 4.186 0.000
0.000 0.000 4.186
Al Pu
3 1
Direct
0.500 0.500 0.000
0.500 0.000 0.500
0.000 0.500 0.500
0.000 0.000 0.000
```